My dharma name in the Hollow Bones Rinzai Zen Order is Yoshin, which means “willow-heart.” I first heard the word many years ago when I started studying jujitsu, since the name of our school is Yoshin Jitsu Kai: the school of the techniques of the willow-heart.

It turns out that Yoshin is the name of a historic lineage of jujitsu, and of course there is a story about that.

A Japanese martial artist and healer decided to go to China to study, knowing that the Chinese have a very old and rich system of health and healing. He moved to a little cabin that overlooked a river. From the window he could see a river willow, with a broad and supple canopy, standing near a mighty oak, tall, broad, and monolithic.

One night a storm arose with fierce and howling winds. He watched the storm from the open window of the cabin, and in particular noticed the two trees.

The willow was taking a beating! It’s limbs and branches whipped and tossed and flailed in the wind, looking like it would be torn apart, while the oak seemed never to move an inch.

He watched for hours, until, in the middle of the night he heard a thunderous crack and then a dull thud. In the morning, he walked out to see what had happened, and he saw the oak was lying in pieces on the ground, the truck having cracked and severed at the top. The tree was destroyed.

Yet when we walked to the willow, he could see that it was perfectly intact! He was stunned, since this was the tree that seemed to get the worst of the storm at first.

He realized there was a great learning in this, that resistance to force can only work to a certain point. After that, as the force increases, and the resistance rises in response, eventually, the greater force will win.

On the other hand, if one learns to be soft and flexible and yielding, even one with much less strength can prevail. He took from this a principle which he applied to his martial arts AND his healing practice.

He then developed a system of fighting and healing based on training to be flexible, supple, yielding, and even gentle, and he called this Yoshin Ryu Jujitsu

In our jujitsu, we train ourselves to maintain our own balance, while disrupting the balance of the opponent. We learn not to attach to any particular move or response, but instead to remain fluid and open to any possibility. We learn to fall down and roll on the ground, even from great height, in a way that allows us to relax and remain soft, and therefore, minimizing injury.

Learning and practicing this art has changed my life in so many ways. I have learned to remain calm and grounded under pressure. I have learned that softness and flexibility are my most powerful abilities.

I have learned how to work with conflict and adversity in all areas of my life. I have applied this above all to my career as a public defender trial lawyer, where I am always representing a person who is in the weaker position in a courtroom where the prosecutors, police, and judges have all the power, and the law and the facts are often adverse.

And, jujitsu gave me my dharma name. When I got my black belt in 2001, I had the kanji for Yoshin tattooed on my upper arm, so when it was time 14 years later to receive a ceremonial dharma name in the zen order, I asked Jun Po if it could be Yoshin, and he agreed.

Little did I know at that time that the idea of the willow-heart would be essential to my evolution and training as a zen priest! More on that next time!

Blessings and health to all of you,

Reverend Yoshin Eka Dave Klaus

-- Here the article breaks off for data records --
1.
# NdMgTl2 | Alexandria via LeMat-Bulk | PBE-GGA | relaxed
data_NdMgTl2
_chemical_formula_sum 'Nd1 Mg1 Tl2'
_cell_length_a 7.7513
_cell_length_b 7.7513
_cell_length_c 7.7513
_cell_angle_alpha 32.83
_cell_angle_beta 32.83
_cell_angle_gamma 32.83
_space_group_name_H-M_alt 'P 1'
_space_group_IT_number 1
_space_group_name_Hall 'P 1'
loop_
_atom_site_label
_atom_site_type_symbol
_atom_site_fract_x
_atom_site_fract_y
_atom_site_fract_z
_atom_site_occupancy
Nd1 Nd 0.0000 0.0000 0.0000 1
Mg1 Mg 0.1724 0.1724 0.1724 1
Tl1 Tl 0.4298 0.4298 0.4298 1
Tl2 Tl 0.5758 0.5758 0.5758 1
# **Formation energy from the elements**: -0.23 eV per formula unit
# **Energy above the lowest structure with this stoichiometry**: 248 meV/atom
# **Density of states at the Fermi level**: 0.833 states/eV per atom
# **Calculated density**: 7.87 Mg/m³
# **Total energy**: -11.3 eV per formula unit

---

2.
# LaNd4Cd5 | Alexandria via LeMat-Bulk | PBE-GGA | relaxed
data_LaNd4Cd5
_chemical_formula_sum 'La1 Nd4 Cd5'
_cell_length_a 3.8677
_cell_length_b 3.8677
_cell_length_c 19.4224
_cell_angle_alpha 90.00
_cell_angle_beta 90.00
_cell_angle_gamma 90.00
_space_group_name_H-M_alt 'P 1'
_space_group_IT_number 1
_space_group_name_Hall 'P 1'
loop_
_atom_site_label
_atom_site_type_symbol
_atom_site_fract_x
_atom_site_fract_y
_atom_site_fract_z
_atom_site_occupancy
La1 La 0.0000 0.0000 0.0000 1
Nd1 Nd 0.0000 0.0000 0.2032 1
Nd2 Nd 0.0000 0.0000 0.4012 1
Nd3 Nd 0.0000 0.0000 0.5988 1
Nd4 Nd 0.0000 0.0000 0.7968 1
Cd1 Cd 0.5000 0.5000 0.1052 1
Cd2 Cd 0.5000 0.5000 0.3020 1
Cd3 Cd 0.5000 0.5000 0.5000 1
Cd4 Cd 0.5000 0.5000 0.6980 1
Cd5 Cd 0.5000 0.5000 0.8948 1
# **Formation energy from the elements**: -3.19 eV per formula unit
# **Density of states at the Fermi level**: 1.243 states/eV per atom
# **Calculated density**: 7.30 Mg/m³
# **Total energy**: -31.8 eV per formula unit

---

3.
# Cd2FePOs | Alexandria via LeMat-Bulk | PBE-GGA | relaxed
data_Cd2FePOs
_chemical_formula_sum 'Cd2 Fe1 P1 Os1'
_cell_length_a 4.9509
_cell_length_b 4.9509
_cell_length_c 4.0308
_cell_angle_alpha 90.00
_cell_angle_beta 90.00
_cell_angle_gamma 90.00
_space_group_name_H-M_alt 'P 1'
_space_group_IT_number 1
_space_group_name_Hall 'P 1'
loop_
_atom_site_label
_atom_site_type_symbol
_atom_site_fract_x
_atom_site_fract_y
_atom_site_fract_z
_atom_site_occupancy
Cd1 Cd 0.0000 0.5000 0.0000 1
Cd2 Cd 0.5000 0.0000 0.0000 1
Fe1 Fe 0.0000 0.0000 0.0000 1
P1 P 0.0000 0.0000 0.5000 1
Os1 Os 0.5000 0.5000 0.5000 1
# **Formation energy from the elements**: 5.69 eV per formula unit
# **Density of states at the Fermi level**: 0.372 states/eV per atom
# **Calculated density**: 8.43 Mg/m³
# **Total energy**: -21.2 eV per formula unit

---

4.
# Ca3SnW | Alexandria via LeMat-Bulk | PBE-GGA | relaxed
data_Ca3SnW
_chemical_formula_sum 'Ca3 Sn1 W1'
_cell_length_a 5.8801
_cell_length_b 5.8801
_cell_length_c 5.8801
_cell_angle_alpha 90.00
_cell_angle_beta 90.00
_cell_angle_gamma 90.00
_space_group_name_H-M_alt 'P 1'

King Bee, Fire-Tender